Posted June. 02, 2009 07:36,
One prominent visitor to the ASEAN-Korea summit can claim a better knowledge of the venue than most: Tan Sri Vincent Tan, 57, chairman and CEO of Malaysian developer Berjaya Group, is inves-ting US$1.8 billion in Jeju.
We have decided that Jeju is the best place to invest because it has a beautiful natural environment and remains underdeveloped, Tan told Kim Tae-hwan, governor of the Special Self-Governing Province of Jeju, on April 29 when Kim visited Kuala Lumpur. Tan added that Jeju, Koreas top island resort, was an attractive proposition even amid the current economic crisis.
Berjaya, Malaysias sixth largest conglomerate, owns the landmark Berjaya Times Square Hotel and a huge shopping mall in downtown Kuala Lumpur. It also owns a resort complex and around 100 subsidiaries and affiliates including 15 listed companies in various in-dustries such as real estate development, lottery operation, retail and airlines. The company is now investing in the Yerae Resort-type Residential Complex Project, Seogwipo, a core development project driven by Jeju Free Inter-national City Development Center (JDC), a public corporation affiliated with the Ministry of Land, Trans-port and Maritime Affairs.
Berjayas investment decision came about by chance. Mr. Tan was flipping through a business magazine when a JDC advertisement caught his eye. He was grabbed by the geopolitical potential of Jeju: It lies within a 2-hour flight of all major Northeast Asian cities including Beijing, Shanghai, Tokyo and Seoul. He was also attracted to the fact that Jeju was an island, for Tan has already built a range of resorts on islands across the breadth of Southeast Asia.
He dispatched an on-site inspe-ction team. Their conclusion? Jejus natural environment was beautiful but the island lacked to-urism infrastructure such as airline routes and shopping malls. Tan decided to see for himself and visited in July 2007. He marveled at the islands fresh air, crystal clear sea and luxuriant forests. He was convinced that building a huge hotel, casino, and shopping mall in Jeju would attract tourists from across Asia.
I realized that the current gov-ernment of Korea is committed to attracting foreign investment and developing the Korean economy, Tan said. Compared to Chinas Hainan Island, Jeju has a cleaner natural environment but does not have sufficient large-scale tourism facilities. Now is the time to invest in Jeju!
Attached: quantum chemistry results >
'''
[1]
A 9-piece molecular cluster, C18H54O18 overall at a distorted geometry. Source: OMol25; level of theory: ωB97M-V with the def2-TZVPD basis set.

Calculated values
max |F| = 2.893 eV/Å
highest occupied orbital energy = -9.44 eV
Kohn-Sham gap = 0.3589 Eh
SMILES string = OCCO.OCCO.OCCO.OCCO.OCCO.OCCO.OCCO.OCCO.OCCO
relative energy (zero: lowest compared OMol25 entry of this formula, charge and spin) = 145.7 kJ/mol

Geometry as XYZ:
```
90
Properties=species:S:1:pos:R:3:forces:R:3:lowdin_charge:R:1
C -5.71214 5.07367 1.12471 0.1 -0.6 0.3 -0.238
C -5.13689 3.68262 0.78756 -0.7 0.8 0.3 -0.212
O -3.75290 3.61200 1.15379 -0.3 -0.2 -0.2 -0.074
O -5.17467 6.10675 0.30090 -0.3 -0.5 0.6 -0.066
H -5.54726 5.23047 2.19874 0.7 0.3 0.0 0.116
H -6.80469 5.07088 1.13015 0.0 0.1 -0.9 0.116
H -5.27699 3.43028 -0.26563 0.0 0.1 -0.1 0.123
H -5.73408 2.98475 1.37579 0.5 -0.3 0.1 0.118
H -3.31703 4.31143 0.65212 0.2 0.1 0.1 0.034
H -4.21414 5.97148 0.32282 -0.5 0.1 -0.3 0.019
C 2.41302 1.39502 3.36925 -0.4 -0.8 -1.2 -0.252
C 1.20841 2.33828 3.47101 1.9 -0.1 1.2 -0.222
O 1.43830 3.26235 4.53472 -0.3 0.7 -0.5 -0.075
O 2.93337 1.01659 4.63575 -0.1 0.0 -0.3 -0.052
H 3.21331 1.72860 2.70514 0.3 1.1 0.9 0.107
H 2.14809 0.56749 2.69158 -0.5 -0.6 0.8 0.091
H 0.30811 1.79019 3.75008 -0.3 -0.1 -0.7 0.117
H 1.24182 2.85536 2.51265 -0.9 0.2 0.1 0.110
H 1.93731 2.81666 5.22624 0.2 -0.2 -0.1 0.068
H 2.25674 0.50928 5.09935 0.1 -0.1 -0.1 0.097
C -3.18048 -4.69668 1.34029 0.3 1.6 -0.1 -0.217
C -3.76133 -3.70250 0.34318 -0.7 -0.9 0.2 -0.260
O -2.92978 -2.61982 0.04265 0.6 0.2 -0.6 -0.061
O -3.09138 -3.99179 2.59534 -0.1 -0.7 -0.1 -0.080
H -2.17289 -4.92917 0.98372 0.0 -0.4 0.1 0.107
H -3.82658 -5.57100 1.40575 0.1 -0.1 0.0 0.122
H -4.75485 -3.39398 0.68101 0.0 0.2 0.1 0.122
H -3.92947 -4.26396 -0.57962 0.2 0.2 -0.2 0.116
H -2.86498 -1.94353 0.72131 -0.4 -0.3 0.4 0.091
H -3.10736 -4.66270 3.28558 0.1 0.2 0.1 0.081
C -0.90138 4.72551 -1.07146 -0.1 -0.2 1.8 -0.217
C -1.55163 6.10173 -1.10118 -0.1 -1.3 -1.9 -0.195
O -2.50003 6.08863 -0.04940 0.5 0.6 0.9 -0.095
O 0.01931 4.66223 0.03043 0.3 -0.1 -0.3 -0.068
H -0.37145 4.34392 -1.93819 0.0 0.6 -0.3 0.126
H -1.70794 4.02110 -0.85140 -0.1 -0.1 -0.4 0.095
H -2.13116 6.16082 -2.02949 0.2 0.3 -0.2 0.128
H -0.77501 6.86463 -1.10006 -0.3 0.3 0.6 0.130
H -2.73409 6.98121 0.23508 0.3 0.0 -0.1 0.118
H -0.44859 4.44690 0.84269 -0.1 0.1 -0.1 0.079
C -0.97996 -4.56276 -2.49674 -1.4 -0.1 0.7 -0.250
C -0.50736 -3.16262 -2.21103 0.9 -0.4 -1.3 -0.209
O 0.93210 -3.23450 -2.11246 -0.6 0.8 0.7 -0.092
O -0.52495 -5.50051 -1.54704 0.3 -0.2 0.2 -0.063
H -0.80727 -4.88366 -3.52801 0.4 0.1 0.0 0.121
H -2.06774 -4.53593 -2.34927 0.0 -0.1 -0.3 0.112
H -0.96700 -2.71070 -1.33622 0.1 -0.3 0.1 0.087
H -0.77013 -2.57632 -3.10096 0.0 0.3 0.2 0.124
H 1.11558 -2.73410 -1.29842 0.5 -0.3 0.0 0.051
H 0.42259 -5.35509 -1.41879 -0.1 0.1 -0.1 0.084
C 0.74129 -2.50472 1.80284 0.3 0.8 0.5 -0.217
C 1.00935 -3.42596 3.00317 -0.6 -0.2 -1.3 -0.229
'''
An investment agreement was signed in 2007, followed by a groundbreaking ceremony in the same year. In August 2008, Berjaya Jeju Resort, an 81:19 joint venture between Berjaya and JDC, was launched. Berjaya confirmed it would invest US$ 1.8 billion, by 2015 for the construction of the Yerae Resort-type Residential Complex. This makes it the largest foreign direct investment ever made in a single project on Jeju.
The 744,000-square meter resort complex will include a high-rise hotel as tall as the landmark 63 Building located on Seouls Yeouido Island (249 meters). A total of 1,920 rooms will be spread over a residence hotel, a casino hotel, a resort hotel and a condominium.
Other commercial facilities, including specialized and general shopping malls and an indoor sports center, will be built on the 329,000-square meter site. A 150-bed medical facility is also to be con-structed.
I would like to make the residence hotel an icon of Jeju Island, said Tan.
Although we are currently under-going a financial crisis, investment in Jeju will be one of our top-priority projects and will be carried out without fail the businessman added.
By Im Jae-young